## Source
/*
Entry 1:
# Hf3Mn2Be
Computed powder diffractogram, Cu Kα X-rays. Input: DFT lattice parameters and positions (GGA-PBE).
Intensities are scaled so that the largest is 100.

```
data_Hf3Mn2Be
_cell_length_a 3.166
_cell_length_b 3.166
_cell_length_c 9.389
_cell_angle_alpha 90.00
_cell_angle_beta 90.00
_cell_angle_gamma 90.00
_symmetry_space_group_name_H-M 'P 1'
_symmetry_Int_Tables_number 1
loop_
_symmetry_equiv_pos_as_xyz
'x,y,z'
loop_
_atom_site_label
_atom_site_type_symbol
_atom_site_fract_x
_atom_site_fract_y
_atom_site_fract_z
Hf1 Hf 0.000 0.000 0.000
Hf2 Hf 0.000 0.000 0.333
Hf3 Hf 0.000 0.000 0.667
Mn1 Mn 0.500 0.500 0.172
Mn2 Mn 0.500 0.500 0.828
Be1 Be 0.500 0.500 0.500
```

Largest 6 diffraction maxima, in order of rising 2θ, 2θ = 10–90°:
28.18 deg, I = 52
28.52 deg, I = 25
40.28 deg, I = 51
40.53 deg, I = 100
50.10 deg, I = 23
73.39 deg, I = 34

=====

Entry 2:
# TlIn7Sn5
Computed powder diffractogram, Cu Kα X-rays. Input: DFT lattice parameters and positions (GGA-PBE).
Intensities are scaled so that the largest is 100.

```
data_TlIn7Sn5
_cell_length_a 8.238
_cell_length_b 8.238
_cell_length_c 6.260
_cell_angle_alpha 110.25
_cell_angle_beta 110.25
_cell_angle_gamma 84.44
_symmetry_space_group_name_H-M 'P 1'
_symmetry_Int_Tables_number 1
loop_
_symmetry_equiv_pos_as_xyz
'x,y,z'
loop_
_atom_site_label
_atom_site_type_symbol
_atom_site_fract_x
_atom_site_fract_y
_atom_site_fract_z
Tl1 Tl 0.000 0.000 0.000
In1 In 0.183 0.838 0.488
In2 In 0.243 0.243 0.732
In3 In 0.355 0.649 0.085
In4 In 0.360 0.360 0.383
In5 In 0.648 0.648 0.668
In6 In 0.649 0.355 0.085
In7 In 0.838 0.183 0.488
Sn1 Sn 0.016 0.570 0.613
Sn2 Sn 0.445 0.998 0.051
Sn3 Sn 0.570 0.016 0.613
Sn4 Sn 0.768 0.768 0.244
Sn5 Sn 0.998 0.445 0.051
```

Largest 6 diffraction maxima, in order of rising 2θ, 2θ = 10–90°:
28.06 deg, I = 36
32.35 deg, I = 100
32.91 deg, I = 35
33.09 deg, I = 38
33.55 deg, I = 25
36.49 deg, I = 27

=====

Entry 3:
# Cs2PaAsSe6
Computed powder diffractogram, Cu Kα X-rays. Input: DFT lattice parameters and positions (GGA-PBE).
Intensities are scaled so that the largest is 100.

```
data_Cs2PaAsSe6
_cell_length_a 7.790
_cell_length_b 7.790
_cell_length_c 6.554
_cell_angle_alpha 90.00
_cell_angle_beta 90.00
_cell_angle_gamma 120.00
_symmetry_space_group_name_H-M 'P 1'
_symmetry_Int_Tables_number 1
loop_
_symmetry_equiv_pos_as_xyz
'x,y,z'
loop_
_atom_site_label
_atom_site_type_symbol
_atom_site_fract_x
_atom_site_fract_y
_atom_site_fract_z
Cs1 Cs 0.333 0.667 0.268
Cs2 Cs 0.667 0.333 0.732
Pa1 Pa 0.000 0.000 0.000
As1 As 0.000 0.000 0.500
Se1 Se 0.160 0.319 0.731
Se2 Se 0.160 0.840 0.731
Se3 Se 0.319 0.160 0.269
Se4 Se 0.681 0.840 0.731
Se5 Se 0.840 0.160 0.269
Se6 Se 0.840 0.681 0.269
```

Largest 6 diffraction maxima, in order of rising 2θ, 2θ = 10–90°:
13.12 deg, I = 60
22.83 deg, I = 36
29.79 deg, I = 100
38.29 deg, I = 53
45.05 deg, I = 24
46.64 deg, I = 35

=====

Entry 4:
# Ca2Ga4AgGe3
Computed powder diffractogram, Cu Kα X-rays. Input: DFT lattice parameters and positions (GGA-PBE).
Intensities are scaled so that the largest is 100.

```
data_Ca2Ga4AgGe3
_cell_length_a 4.534
_cell_length_b 4.534
_cell_length_c 10.468
_cell_angle_alpha 90.00
_cell_angle_beta 90.00
_cell_angle_gamma 90.00
_symmetry_space_group_name_H-M 'P 1'
_symmetry_Int_Tables_number 1
loop_
_symmetry_equiv_pos_as_xyz
'x,y,z'
loop_
_atom_site_label
_atom_site_type_symbol
_atom_site_fract_x
_atom_site_fract_y
_atom_site_fract_z
Ca1 Ca 0.000 0.500 0.239
Ca2 Ca 0.500 0.000 0.761
Ga1 Ga 0.000 0.000 0.500
Ga2 Ga 0.000 0.500 0.870
Ga3 Ga 0.500 0.000 0.130
Ga4 Ga 0.500 0.500 0.500
Ag1 Ag 0.500 0.500 0.000
Ge1 Ge 0.000 0.000 0.000
Ge2 Ge 0.000 0.500 0.630
Ge3 Ge 0.500 0.000 0.370
```

Largest 6 diffraction maxima, in order of rising 2θ, 2θ = 10–90°:
16.94 deg, I = 34
32.38 deg, I = 41
32.76 deg, I = 100
39.76 deg, I = 78
44.70 deg, I = 66
67.77 deg, I = 28

=====

Entry 5:
# AcPr2Ga4
*/

## Exercise
It remains to print everything above exactly.

## Solution
Entry 1:
# Hf3Mn2Be
Computed powder diffractogram, Cu Kα X-rays. Input: DFT lattice parameters and positions (GGA-PBE).
Intensities are scaled so that the largest is 100.

```
data_Hf3Mn2Be
_cell_length_a 3.166
_cell_length_b 3.166
_cell_length_c 9.389
_cell_angle_alpha 90.00
_cell_angle_beta 90.00
_cell_angle_gamma 90.00
_symmetry_space_group_name_H-M 'P 1'
_symmetry_Int_Tables_number 1
loop_
_symmetry_equiv_pos_as_xyz
'x,y,z'
loop_
_atom_site_label
_atom_site_type_symbol
_atom_site_fract_x
_atom_site_fract_y
_atom_site_fract_z
Hf1 Hf 0.000 0.000 0.000
Hf2 Hf 0.000 0.000 0.333
Hf3 Hf 0.000 0.000 0.667
Mn1 Mn 0.500 0.500 0.172
Mn2 Mn 0.500 0.500 0.828
Be1 Be 0.500 0.500 0.500
```

Largest 6 diffraction maxima, in order of rising 2θ, 2θ = 10–90°:
28.18 deg, I = 52
28.52 deg, I = 25
40.28 deg, I = 51
40.53 deg, I = 100
50.10 deg, I = 23
73.39 deg, I = 34

=====

Entry 2:
# TlIn7Sn5
Computed powder diffractogram, Cu Kα X-rays. Input: DFT lattice parameters and positions (GGA-PBE).
Intensities are scaled so that the largest is 100.

```
data_TlIn7Sn5
_cell_length_a 8.238
_cell_length_b 8.238
_cell_length_c 6.260
_cell_angle_alpha 110.25
_cell_angle_beta 110.25
_cell_angle_gamma 84.44
_symmetry_space_group_name_H-M 'P 1'
_symmetry_Int_Tables_number 1
loop_
_symmetry_equiv_pos_as_xyz
'x,y,z'
loop_
_atom_site_label
_atom_site_type_symbol
_atom_site_fract_x
_atom_site_fract_y
_atom_site_fract_z
Tl1 Tl 0.000 0.000 0.000
In1 In 0.183 0.838 0.488
In2 In 0.243 0.243 0.732
In3 In 0.355 0.649 0.085
In4 In 0.360 0.360 0.383
In5 In 0.648 0.648 0.668
In6 In 0.649 0.355 0.085
In7 In 0.838 0.183 0.488
Sn1 Sn 0.016 0.570 0.613
Sn2 Sn 0.445 0.998 0.051
Sn3 Sn 0.570 0.016 0.613
Sn4 Sn 0.768 0.768 0.244
Sn5 Sn 0.998 0.445 0.051
```

Largest 6 diffraction maxima, in order of rising 2θ, 2θ = 10–90°:
28.06 deg, I = 36
32.35 deg, I = 100
32.91 deg, I = 35
33.09 deg, I = 38
33.55 deg, I = 25
36.49 deg, I = 27

=====

Entry 3:
# Cs2PaAsSe6
Computed powder diffractogram, Cu Kα X-rays. Input: DFT lattice parameters and positions (GGA-PBE).
Intensities are scaled so that the largest is 100.

```
data_Cs2PaAsSe6
_cell_length_a 7.790
_cell_length_b 7.790
_cell_length_c 6.554
_cell_angle_alpha 90.00
_cell_angle_beta 90.00
_cell_angle_gamma 120.00
_symmetry_space_group_name_H-M 'P 1'
_symmetry_Int_Tables_number 1
loop_
_symmetry_equiv_pos_as_xyz
'x,y,z'
loop_
_atom_site_label
_atom_site_type_symbol
_atom_site_fract_x
_atom_site_fract_y
_atom_site_fract_z
Cs1 Cs 0.333 0.667 0.268
Cs2 Cs 0.667 0.333 0.732
Pa1 Pa 0.000 0.000 0.000
As1 As 0.000 0.000 0.500
Se1 Se 0.160 0.319 0.731
Se2 Se 0.160 0.840 0.731
Se3 Se 0.319 0.160 0.269
Se4 Se 0.681 0.840 0.731
Se5 Se 0.840 0.160 0.269
Se6 Se 0.840 0.681 0.269
```

Largest 6 diffraction maxima, in order of rising 2θ, 2θ = 10–90°:
13.12 deg, I = 60
22.83 deg, I = 36
29.79 deg, I = 100
38.29 deg, I = 53
45.05 deg, I = 24
46.64 deg, I = 35

=====

Entry 4:
# Ca2Ga4AgGe3
Computed powder diffractogram, Cu Kα X-rays. Input: DFT lattice parameters and positions (GGA-PBE).
Intensities are scaled so that the largest is 100.

```
data_Ca2Ga4AgGe3
_cell_length_a 4.534
_cell_length_b 4.534
_cell_length_c 10.468
_cell_angle_alpha 90.00
_cell_angle_beta 90.00
_cell_angle_gamma 90.00
_symmetry_space_group_name_H-M 'P 1'
_symmetry_Int_Tables_number 1
loop_
_symmetry_equiv_pos_as_xyz
'x,y,z'
loop_
_atom_site_label
_atom_site_type_symbol
_atom_site_fract_x
_atom_site_fract_y
_atom_site_fract_z
Ca1 Ca 0.000 0.500 0.239
Ca2 Ca 0.500 0.000 0.761
Ga1 Ga 0.000 0.000 0.500
Ga2 Ga 0.000 0.500 0.870
Ga3 Ga 0.500 0.000 0.130
Ga4 Ga 0.500 0.500 0.500
Ag1 Ag 0.500 0.500 0.000
Ge1 Ge 0.000 0.000 0.000
Ge2 Ge 0.000 0.500 0.630
Ge3 Ge 0.500 0.000 0.370
```

Largest 6 diffraction maxima, in order of rising 2θ, 2θ = 10–90°:
16.94 deg, I = 34
32.38 deg, I = 41
32.76 deg, I = 100
39.76 deg, I = 78
44.70 deg, I = 66
67.77 deg, I = 28

=====

Entry 5:
# AcPr2Ga4